### Activity
Your job: set down the lines further below from the one with "5.7368 0.0" to the one with "5.5620 0.1" character by character.

### Entries
+++
# 1
8
Properties=species:S:1:pos:R:3:forces:R:3:mulliken_charge:R:1 method="wB97M-V/def2-TZVPD" e_homo_ev=-8.15 e_above_lowest_kj_mol=5.39 charge=0
N -0.9175 0.3625 1.2587 1.2 1.1 3.1 0.6003
N -0.8667 0.8154 2.3548 -0.7 -2.0 -4.9 -0.3744
N -0.8701 -0.1495 0.1111 -1.0 2.5 1.8 -0.4351
N 0.3892 -1.8020 -1.0362 0.2 0.3 1.5 -0.4982
N -0.2925 -1.3803 0.1237 0.8 -2.1 -1.1 0.0042
H 1.2193 -1.2387 -1.2185 -0.3 0.0 0.1 0.2326
H -0.2078 -1.7912 -1.8411 -0.4 0.0 -0.2 0.2560
H -0.2098 -1.8965 0.9900 0.2 0.1 -0.4 0.2147

---

# 2
107
Properties=species:S:1:pos:R:3:forces:R:3:mulliken_charge:R:1 method="wB97M-V/def2-TZVPD" e_homo_ev=-10.29 charge=+1
S -0.0015 -5.4291 2.5656 0.2 -0.2 0.1 1.3146
O -0.6300 -4.6428 1.5469 -0.6 0.6 -0.3 -0.6516
O 0.7700 -6.5668 2.2199 0.4 -0.8 -0.1 -0.6506
N 1.7337 -3.7219 5.7015 -0.1 -0.1 -0.1 -0.3052
N 0.6105 -2.9044 3.2556 0.0 0.0 0.3 0.3579
C -1.9624 5.0519 5.7368 0.0 0.0 0.0 -0.4963
C 3.2515 1.7769 -7.5135 0.0 0.0 0.0 -0.5464
C 1.7409 0.3476 -6.3075 0.0 -0.1 0.0 -0.1796
C 0.3105 -5.6780 -7.5931 0.0 0.0 0.0 -0.3672
C 3.9376 2.6829 -1.0733 0.0 0.0 0.0 -0.6421
C -2.8616 -2.7633 7.7836 0.0 -0.1 0.0 -0.4075
C -2.7340 -0.8536 2.9555 0.0 0.0 0.0 -0.7877
C -1.6730 0.7924 0.9907 0.1 0.1 0.0 -0.3271
C -3.0127 0.5042 2.9668 0.0 0.1 0.1 -0.5544
C -0.6461 5.3326 3.7443 0.0 0.0 0.0 -0.5846
C 0.1615 -2.2457 4.5588 0.2 0.1 0.1 -0.0157
C -1.9276 -1.3868 1.9589 0.1 -0.1 0.0 -0.3385
C 2.5547 0.5813 -7.4070 0.0 0.0 0.0 -0.1617
C -0.3611 6.4278 -9.4523 0.0 0.0 0.0 -0.3306
C -1.4342 5.8729 4.7509 0.0 0.0 0.0 -0.3528
C -1.2023 -5.8881 3.7706 0.2 0.2 0.1 -0.7674
C -1.3964 -0.5672 0.9726 0.1 0.0 0.0 -0.8191
C -0.9022 6.9249 -8.2753 0.0 0.0 0.0 -0.4273
C -1.7002 3.6891 5.7192 0.0 0.0 0.0 -0.4971
C 0.3799 5.2546 -9.4341 0.0 0.0 0.0 -0.6010
C 1.1941 -4.2960 3.3034 -0.1 0.0 0.4 -0.0807
C 0.0439 -4.4294 -8.1362 0.0 0.0 0.0 -0.5245
C 2.3234 2.5045 -5.4194 0.0 0.0 0.0 -0.4425
C -2.7821 -1.6557 8.6170 0.0 0.0 0.0 -0.5151
C -4.6581 -0.6712 7.4792 0.0 0.0 0.0 -0.4699
C -3.8404 -2.8270 6.8006 0.0 0.0 0.0 -0.2840
C 1.8513 2.1563 0.6770 0.0 -0.1 0.1 -0.0859
C 0.4131 -3.1332 5.7644 0.2 0.3 -0.1 -0.5217
C 1.6274 1.3084 -5.3130 0.0 0.0 0.0 -0.5466
C 0.0436 5.0785 -7.0616 0.0 0.0 0.0 -0.2968
C -3.6761 -0.6065 8.4583 0.0 0.0 0.0 -0.4421
C 0.5826 4.5794 -8.2386 0.0 0.0 0.0 0.0327
C -0.3848 3.9702 3.7254 0.0 0.0 0.0 -0.0217
C 4.0057 3.1259 0.2402 0.0 0.0 0.0 -0.3355
C -0.6996 6.2503 -7.0796 0.0 0.0 0.0 -0.4397
C 0.8750 -3.3563 -7.8475 0.0 0.0 0.0 -0.1621
C 1.4054 -5.8532 -6.7585 0.0 0.0 0.0 -0.3549
C 2.9619 2.8637 1.1162 0.0 0.0 0.0 -0.5851
C -2.4791 1.3277 1.9846 0.0 0.0 0.0 -0.6374
C -0.9099 3.1499 4.7145 0.0 0.0 0.0 -0.3878
C 1.9706 -3.5319 -7.0141 0.0 0.1 0.0 -0.0943
C 2.8266 1.9767 -1.5124 0.0 0.0 -0.1 -0.2336
C 1.7841 1.7118 -0.6361 0.0 0.0 0.0 -0.3483
C 3.1324 2.7405 -6.5218 0.1 0.0 0.0 -0.6320
C 1.7769 -4.7350 4.6724 0.1 0.2 0.1 -0.9153
C -4.7448 -1.7827 6.6536 0.0 0.0 -0.1 -0.5015
C 2.2352 -4.7798 -6.4680 0.0 0.0 0.0 -0.5485
H -1.1215 6.6388 -6.1616 0.0 0.0 0.0 0.3589
H 1.2834 -2.2907 2.8013 0.0 0.1 0.0 0.4916
H 0.8002 4.8663 -10.3528 0.0 0.0 0.0 0.3648
H 0.9926 1.1249 -4.4546 0.0 0.0 0.0 0.4740
H 2.4382 -3.0073 5.5620 0.1 -0.1 0.1 0.3202
H -0.3340 -6.5164 -7.8231 0.0 0.0 0.0 0.3609
H -0.7065 2.0857 4.6981 0.0 0.0 0.0 0.4859
H -3.6374 0.9231 3.7450 0.0 0.0 0.0 0.4802
H -1.2541 1.4391 0.2306 0.0 0.0 0.0 0.5647
H 3.0126 3.2147 2.1394 0.0 0.0 0.0 0.4257
H -2.0312 -1.6143 9.3951 0.0 0.0 0.0 0.4204
H -1.6365 6.9356 4.7669 0.0 0.0 0.0 0.3801
H 4.8717 3.6780 0.5805 0.0 0.0 0.0 0.3776
H -0.5168 6.9554 -10.3843 0.0 0.0 0.0 0.3633
H -0.7687 -0.9853 0.1950 0.0 0.0 0.0 0.4584
H 0.6686 -2.3829 -8.2752 0.0 0.0 0.0 0.3433
H 2.6216 -2.6951 -6.7922 0.0 0.0 0.0 0.2726
H 1.1578 3.6633 -8.2233 0.0 0.0 0.0 0.3202
H -2.5784 5.4746 6.5195 0.0 0.0 0.0 0.3731
H 2.7736 1.6344 -2.5381 0.0 0.0 0.0 0.4370
H 0.7707 -1.3551 4.6684 0.1 0.1 -0.1 0.3984
H -3.6170 0.2563 9.1083 0.0 0.0 0.0 0.4218
H 3.8834 1.9605 -8.3726 0.0 0.0 0.0 0.3990
+++

### Done
C -1.9624 5.0519 5.7368 0.0 0.0 0.0 -0.4963
C 3.2515 1.7769 -7.5135 0.0 0.0 0.0 -0.5464
C 1.7409 0.3476 -6.3075 0.0 -0.1 0.0 -0.1796
C 0.3105 -5.6780 -7.5931 0.0 0.0 0.0 -0.3672
C 3.9376 2.6829 -1.0733 0.0 0.0 0.0 -0.6421
C -2.8616 -2.7633 7.7836 0.0 -0.1 0.0 -0.4075
C -2.7340 -0.8536 2.9555 0.0 0.0 0.0 -0.7877
C -1.6730 0.7924 0.9907 0.1 0.1 0.0 -0.3271
C -3.0127 0.5042 2.9668 0.0 0.1 0.1 -0.5544
C -0.6461 5.3326 3.7443 0.0 0.0 0.0 -0.5846
C 0.1615 -2.2457 4.5588 0.2 0.1 0.1 -0.0157
C -1.9276 -1.3868 1.9589 0.1 -0.1 0.0 -0.3385
C 2.5547 0.5813 -7.4070 0.0 0.0 0.0 -0.1617
C -0.3611 6.4278 -9.4523 0.0 0.0 0.0 -0.3306
C -1.4342 5.8729 4.7509 0.0 0.0 0.0 -0.3528
C -1.2023 -5.8881 3.7706 0.2 0.2 0.1 -0.7674
C -1.3964 -0.5672 0.9726 0.1 0.0 0.0 -0.8191
C -0.9022 6.9249 -8.2753 0.0 0.0 0.0 -0.4273
C -1.7002 3.6891 5.7192 0.0 0.0 0.0 -0.4971
C 0.3799 5.2546 -9.4341 0.0 0.0 0.0 -0.6010
C 1.1941 -4.2960 3.3034 -0.1 0.0 0.4 -0.0807
C 0.0439 -4.4294 -8.1362 0.0 0.0 0.0 -0.5245
C 2.3234 2.5045 -5.4194 0.0 0.0 0.0 -0.4425
C -2.7821 -1.6557 8.6170 0.0 0.0 0.0 -0.5151
C -4.6581 -0.6712 7.4792 0.0 0.0 0.0 -0.4699
C -3.8404 -2.8270 6.8006 0.0 0.0 0.0 -0.2840
C 1.8513 2.1563 0.6770 0.0 -0.1 0.1 -0.0859
C 0.4131 -3.1332 5.7644 0.2 0.3 -0.1 -0.5217
C 1.6274 1.3084 -5.3130 0.0 0.0 0.0 -0.5466
C 0.0436 5.0785 -7.0616 0.0 0.0 0.0 -0.2968
C -3.6761 -0.6065 8.4583 0.0 0.0 0.0 -0.4421
C 0.5826 4.5794 -8.2386 0.0 0.0 0.0 0.0327
C -0.3848 3.9702 3.7254 0.0 0.0 0.0 -0.0217
C 4.0057 3.1259 0.2402 0.0 0.0 0.0 -0.3355
C -0.6996 6.2503 -7.0796 0.0 0.0 0.0 -0.4397
C 0.8750 -3.3563 -7.8475 0.0 0.0 0.0 -0.1621
C 1.4054 -5.8532 -6.7585 0.0 0.0 0.0 -0.3549
C 2.9619 2.8637 1.1162 0.0 0.0 0.0 -0.5851
C -2.4791 1.3277 1.9846 0.0 0.0 0.0 -0.6374
C -0.9099 3.1499 4.7145 0.0 0.0 0.0 -0.3878
C 1.9706 -3.5319 -7.0141 0.0 0.1 0.0 -0.0943
C 2.8266 1.9767 -1.5124 0.0 0.0 -0.1 -0.2336
C 1.7841 1.7118 -0.6361 0.0 0.0 0.0 -0.3483
C 3.1324 2.7405 -6.5218 0.1 0.0 0.0 -0.6320
C 1.7769 -4.7350 4.6724 0.1 0.2 0.1 -0.9153
C -4.7448 -1.7827 6.6536 0.0 0.0 -0.1 -0.5015
C 2.2352 -4.7798 -6.4680 0.0 0.0 0.0 -0.5485
H -1.1215 6.6388 -6.1616 0.0 0.0 0.0 0.3589
H 1.2834 -2.2907 2.8013 0.0 0.1 0.0 0.4916
H 0.8002 4.8663 -10.3528 0.0 0.0 0.0 0.3648
H 0.9926 1.1249 -4.4546 0.0 0.0 0.0 0.4740
H 2.4382 -3.0073 5.5620 0.1 -0.1 0.1 0.3202